<<<
Density functional theory data (PBE-GGA) for an optimized crystal structure of Ba8Sb3PI3.

## Properties
As for the final energy: -113.61 eV for the cell shown. The formation energy without anion corrections is -1266 meV/atom.

Lattice parameters (Å, degrees): 17.426 10.064 10.178 90.00 124.84 90.00
Space group C2/m (No. 12)
Symmetry-distinct sites (fractional):
Ba: 0.010 0.238 0.292
Ba: 0.228 0.000 0.708
Ba: 0.239 0.500 0.718
Sb: 0.000 0.500 0.500
Sb: 0.250 0.250 0.500
P: 0.000 0.000 0.500
I: 0.000 0.000 0.000
I: 0.250 0.250 0.000

~~~~~

No. 1
Sr3BS: relaxed, GGA-PBE.

The structure in CIF format:
```
data_Sr3BS
_symmetry_space_group_name_H-M 'P m -3 m'
_symmetry_Int_Tables_number 221
_symmetry_space_group_name_Hall '-P 4 2 3'
_cell_length_a 5.4639
_cell_length_b 5.4639
_cell_length_c 5.4639
_cell_angle_alpha 90.00
_cell_angle_beta 90.00
_cell_angle_gamma 90.00
loop_
_atom_site_label
_atom_site_fract_x
_atom_site_fract_y
_atom_site_fract_z
_atom_site_occupancy
Sr1 0.0000 0.0000 0.5000 1
B1 0.0000 0.0000 0.0000 1
S1 0.5000 0.5000 0.5000 1
```

Output
E_tot = -3.323 eV/atom
Crystal system = cubic
M_tot = 0.00 μB/cell
Energy above the lowest structure with this stoichiometry = 0.0 meV/atom



No. 2
SrBS3: relaxed, GGA-PBE.

The structure in CIF format:
```
data_SrBS3
_symmetry_space_group_name_H-M 'P m -3 m'
_symmetry_Int_Tables_number 221
_symmetry_space_group_name_Hall '-P 4 2 3'
_cell_length_a 4.4519
_cell_length_b 4.4519
_cell_length_c 4.4519
_cell_angle_alpha 90.00
_cell_angle_beta 90.00
_cell_angle_gamma 90.00
loop_
_atom_site_label
_atom_site_fract_x
_atom_site_fract_y
_atom_site_fract_z
_atom_site_occupancy
Sr1 0.0000 0.0000 0.0000 1
B1 0.5000 0.5000 0.5000 1
S1 0.0000 0.5000 0.5000 1
```

Output
E_tot = -4.429 eV/atom
Crystal system = cubic
M_tot = 0.00 μB/cell
Energy above the lowest structure with this stoichiometry = 609.5 meV/atom



No. 3
SrTmBS4: relaxed, GGA-PBE.

The structure in CIF format:
```
data_SrTmBS4
_symmetry_space_group_name_H-M 'P 1 21/m 1'
_symmetry_Int_Tables_number 11
_cell_length_a 6.1329
_cell_length_b 6.2933
_cell_length_c 7.9377
_cell_angle_alpha 90.00
_cell_angle_beta 107.31
_cell_angle_gamma 90.00
loop_
_symmetry_equiv_pos_as_xyz
'x,y,z'
'-x,-y,-z'
'-x,y+1/2,-z'
'x,-y+1/2,z'
loop_
_atom_site_label
_atom_site_fract_x
_atom_site_fract_y
_atom_site_fract_z
_atom_site_occupancy
Sr1 0.2223 0.2500 0.4294 1
Tm1 0.2700 0.2500 0.9466 1
B1 0.2810 0.7500 0.1853 1
S1 0.0927 0.7500 0.3465 1
S2 0.1010 0.7500 0.9383 1
S3 0.4840 0.5090 0.2303 1
```

Output
E_tot = -5.689 eV/atom
Crystal system = monoclinic
M_tot = 0.00 μB/cell



No. 4
TaBS3: relaxed, GGA-PBE.

The structure in CIF format:
```
data_TaBS3
_symmetry_space_group_name_H-M 'C m c 21'
_symmetry_Int_Tables_number 36
_cell_length_a 3.1398
_cell_length_b 19.3399
_cell_length_c 6.6603
_cell_angle_alpha 90.00
_cell_angle_beta 90.00
_cell_angle_gamma 90.00
loop_
_symmetry_equiv_pos_as_xyz
'x,y,z'
'-x,-y,z+1/2'
'-x,y,z'
'x,-y,z+1/2'
'x+1/2,y+1/2,z'
'-x+1/2,-y+1/2,z+1/2'
'-x+1/2,y+1/2,z'
'x+1/2,-y+1/2,z+1/2'
loop_
_atom_site_label
_atom_site_fract_x
_atom_site_fract_y
_atom_site_fract_z
_atom_site_occupancy
Ta1 0.0000 0.1640 0.0000 1
B1 0.0000 0.3510 0.2152 1
S1 0.0000 0.0961 0.6763 1
S2 0.0000 0.2590 0.2735 1
S3 0.0000 0.3998 0.6949 1
```

Output
E_tot = -6.688 eV/atom
Crystal system = orthorhombic
M_tot = 0.00 μB/cell
Energy above the lowest structure with this stoichiometry = 0.0 meV/atom

~~~~~

Entry 1:
Density functional theory data (PBE-GGA) for an optimized crystal structure of Dy2Tm2InGe4Pd2.

Output
Symmetry ... C2/m

Cell: 8.2000 8.2000 7.0916 Å, 107.33 107.33 30.15°
Closest atoms and distances in Å follow each position.
Fractional coordinates of all 11 atoms:
Dy 0.0884 0.0884 0.3845  6 Ge 3.03-3.12, 3 Pd 3.13-3.14
Dy 0.9116 0.9116 0.6155  6 Ge 3.03-3.12, 3 Pd 3.13-3.14
Tm 0.1569 0.1569 0.9257  5 Ge 2.93-3.02, 3 Pd 3.09-3.26
Tm 0.8431 0.8431 0.0743  5 Ge 2.93-3.02, 3 Pd 3.09-3.26
In 0.5000 0.5000 0.0000  4 Ge 2.83-3.00
>>>

Type out only the lines further above with the word "B1" in them.

B1 0.0000 0.0000 0.0000 1
B1 0.5000 0.5000 0.5000 1
B1 0.2810 0.7500 0.1853 1
B1 0.0000 0.3510 0.2152 1